By Larry Peña
For Cal Poly Professor Charles Burt, the view from Interstate 5 is a perfect metaphor for the California drought. “People see a lot of trees and farmland, so they think there’s no problem,” he says as he drives north on the freeway that serves as California’s main artery. “But five miles away, it’s a different story.”
Burt, one of the state’s leading experts in irrigation research and the founding chair of the nationwide Irrigation Association Certification Board, is on his way to the state capitol in Sacramento for a summit of some of the state’s best minds in a variety of fields. The hope is that at this meeting, new ideas will emerge to fight the effects of the ongoing drought, now in its fourth year.
It’s hard to overstate the effects of the crisis. According to Chris Surfleet, a professor in Cal Poly’s Natural Resources Management & Environmental Sciences (NRES) Department who studies water conservation and watershed management, even if rains return to normal levels, that might not be enough.
/*
(1)
{"formula": "C34H47N2O2PReSSi", "method": "ωB97M-V/def2-TZVPD", "elements": ["Re", "C", "C", "C", "C", "C", "C", "C", "S", "O", "O", "N", "C", "C", "C", "C", "C", "C", "C", "C", "N", "C", "H", "H", "H", "H", "H", "H", "H", "H", "H", "H", "H", "H", "H", "C", "C", "C", "C", "P", "C", "C", "C", "C", "C", "C", "C", "C", "C", "C", "H", "H", "H", "H", "H", "H", "H", "H", "H", "H", "H", "H", "H", "H", "H", "H", "H", "H", "H", "H", "H", "H", "H", "C", "Si", "C", "C", "C", "H", "H", "H", "H", "H", "H", "H", "H", "H", "H", "H"], "xyz": [[-0.26, -0.28, 0.21], [-0.89, 5.90, 3.94], [-0.66, 4.43, 3.68], [0.49, 3.81, 4.16], [0.73, 2.47, 3.93], [-0.22, 1.74, 3.21], [-1.38, 2.33, 2.72], [-1.59, 3.68, 2.97], [0.23, 0.12, 2.83], [0.78, -0.56, 3.94], [1.17, 0.22, 1.60], [-1.00, -0.59, 2.06], [-1.49, -1.93, 2.31], [-1.75, -2.49, 3.52], [-2.30, -3.79, 3.58], [-2.59, -4.48, 2.44], [-2.32, -3.90, 1.18], [-2.59, -4.55, -0.05], [-2.28, -3.93, -1.23], [-1.66, -2.68, -1.20], [-1.39, -2.03, -0.08], [-1.75, -2.63, 1.12], [-0.84, 6.11, 5.01], [-1.86, 6.22, 3.58], [-0.12, 6.50, 3.45], [1.21, 4.38, 4.73], [1.62, 1.99, 4.32], [-2.13, 1.75, 2.19], [-2.51, 4.14, 2.63], [-1.55, -1.94, 4.43], [-2.50, -4.23, 4.55], [-3.03, -5.47, 2.49], [-3.04, -5.53, -0.04], [-2.49, -4.39, -2.19], [-1.39, -2.18, -2.12], [2.34, -2.36, 0.63], [2.52, -2.16, -0.89], [4.02, -2.31, -1.19], [1.76, -3.28, -1.62], [1.72, -0.51, -1.32], [2.82, 0.87, -0.88], [4.21, 0.86, -0.99], [4.95, 1.99, -0.66], [4.32, 3.15, -0.24], [2.94, 3.19, -0.17], [2.20, 2.06, -0.48], [1.50, -0.28, -3.18], [1.23, 1.21, -3.45], [0.33, -1.10, -3.75], [2.79, -0.66, -3.90], [2.90, -3.26, 0.92], [1.29, -2.55, 0.91], [2.72, -1.53, 1.22], [4.26, -3.37, -1.10], [4.63, -1.78, -0.46], [4.31, -2.00, -2.19], [2.06, -4.23, -1.18], [2.01, -3.32, -2.68], [0.68, -3.19, -1.52], [4.73, -0.02, -1.34], [6.03, 1.96, -0.75], [4.91, 4.02, 0.01], [2.43, 4.10, 0.13], [1.12, 2.13, -0.43], [0.43, 1.63, -2.83], [0.92, 1.31, -4.49], [2.12, 1.81, -3.30], [-0.61, -0.89, -3.24], [0.51, -2.18, -3.72], [0.20, -0.83, -4.79], [3.65, -0.11, -3.53], [2.67, -0.40, -4.96], [3.00, -1.73, -3.86], [-4.06, 0.47, 0.84], [-3.34, 0.88, -0.82], [-3.76, 2.60, -1.32], [-3.91, -0.34, -2.09], [-1.39, 0.90, -0.90], [-4.98, -0.12, 0.69], [-4.35, 1.38, 1.37], [-3.41, -0.11, 1.49], [-4.85, 2.73, -1.32], [-3.39, 2.82, -2.32], [-3.34, 3.33, -0.63], [-4.94, -0.07, -2.36], [-3.93, -1.37, -1.73], [-3.31, -0.29, -3.01], [-1.12, 1.91, -0.54], [-1.21, 0.85, -1.98]], "multiplicity": 2, "charge": 2, "s_squared": 0.756, "largest_force_ev_per_a": 1.1, "total_energy_ha": -2690.5835}


(2)
*/
“It takes four to five inches of rain before the soil gets wet enough to start moving the water around and starting river flow,” he says. “Once that happens, at average rainfall, it could take several years for us to get back to normal.”
“There’s not a whole lot that can be done when a drought hits — people just run out of water,” says Burt. “There are no magical solutions. We’re using more water than we have. It’s that simple.”
But while there may be little to do about the amount of water available in the state, there’s much that can be done to use water more
efficiently — and some of the best work in that area is coming from Cal Poly’s Irrigation Training & Research Center (ITRC), a group housed within the College of Agriculture, Food & Environmental Sciences (CAFES). The group operates like a business within the BioResource & Agricultural Engineering Department, working with industry to develop irrigation technology and techniques while using those applied research contracts as educational opportunities for the next generation of innovative leaders in the irrigation field.
The water level has dropped drastically at Lake San Antonio, a reservoir in northern San Luis Obispo County.
“We constantly come up with new things,” says Burt, who founded the ITRC and serves as its board chair. “We’ve developed technology for monitoring water balances and made advances in satellite imaging to understand water use. We have students in the San Joaquin Valley showing farmers how to be more efficient. We’re the only game in town when it comes to automation of large-scale agriculture systems in the state. We work in Bulgaria, Uzbekistan, Kazakhstan and Mexico.
“But we’re not gizmo people — we’re strategy people,” he adds. “It’s all about thinking in terms of whole systems. Everything is connected.”
Burt is concerned that fewer and fewer people are being trained to carry on those techniques in the future. “Long term, there aren’t enough irrigation specialists around. Irrigation programs across the West have all disappeared, he says. “We’ve maintained a strong program here, largely because of our practical, hands-on approach. We focus on educating California students and addressing California issues and, as a result, our students are doing real work and getting real jobs after graduation.”
For its part, Cal Poly has been working proactively to be as efficient as possible with its own water resources. Part of that is a response to Gov. Jerry Brown’s recent mandate for state schools to reduce water consumption by 25 percent compared to 2013 levels, but Cal Poly’s efforts in this area are much older than that directive. “We didn’t wait for a record drought to start conserving water,” says Dennis Elliot, director of Energy, Utilities and Sustainability at Cal Poly. “Since 2000, conservation efforts have allowed us to keep campus water usage flat, in spite of a 60 percent increase in building square footage and a 100 percent increase in on-campus housing.”
Over the past few months, vast lawns across campus have been “going gold” — intentionally culled and allowed to wither away. There’s a push to update plumbing fixtures and remove inefficient elements of the campus water system. And everywhere students congregate, from dorms to classroom buildings to the Recreation Center, signs remind them to use water carefully and sparingly. In July, Cal Poly won the Water Efficiency/Site Water Quality sustainability award at the California Higher Education Sustainability Conference in San Francisco.
The university’s vast agricultural land holdings are currently exempt from the governor’s mandate, but that hasn’t stopped CAFES’ department of Agricultural Operations from doing its part. “When I met with campus leadership as a whole, I told them we would do our best to hit the same goals as the rest of campus as a way to show our support for that effort and for the state,” says program director Kevin Piper.
According to Piper, Cal Poly’s ag lands are on track to hit that voluntary 25 percent goal this year, through technical upgrades to irrigation systems and modifications of watering practices. The voluntary cuts are providing a Learn by Doing opportunity to students. BioResource & Agricultural Engineering Department students have installed irrigation monitoring systems, run efficiency tests, and designed new pump stations. “We’re throwing them into an extreme real-world situation,” says Piper. “They are exposed to state-of-the-art equipment and techniques, so when they leave and become resourceful professionals in the industry, they have that familiarity.”
For Cal Poly social sciences Professor Ryan Alaniz, drought resilience isn’t just an agricultural issue or resource management issue — it’s an issue with deep social and cultural implications.
Here the page breaks off for data records:
____________
[1]
Below is 5 unconnected molecules or ions with the total composition C14H43BO7P in a non-equilibrium geometry, with properties calculated with ωB97M-V/def2-TZVPD.

M (g/mol): 365.3
Total charge: -1
HOMO (eV): -2.946

Structure (XYZ):
```
66
Properties=species:S:1:pos:R:3:forces:R:3:mulliken_charge:R:1
C -4.600 1.770 0.857 -0.0105 -0.8090 -0.0630 -0.701
C -3.159 0.936 0.985 -0.0937 0.3639 -1.0211 0.445
O -2.849 0.512 2.359 -0.0033 -1.2696 -1.4138 -0.487
B -2.240 -0.830 2.413 -2.8865 -0.0315 1.3123 0.509
O -3.031 -1.875 3.155 -0.1387 0.6157 -2.5485 -0.706
P -0.601 -1.392 1.603 1.5970 -0.3061 -0.3212 0.963
C 0.452 -0.043 2.437 0.8020 1.4376 1.6420 -1.054
C 0.381 1.443 1.766 1.1780 0.4276 1.1674 -0.311
C 0.881 1.555 0.213 -0.9386 1.2164 -0.3341 -0.513
O 1.429 0.324 -0.371 -1.8430 1.0971 -1.6487 -0.050
C 1.030 0.247 -1.815 0.5429 0.3867 -0.3136 -0.592
H -5.096 1.972 1.916 1.2780 -0.3420 -2.2380 0.245
H -4.451 2.765 0.226 -0.3805 -2.1837 1.5301 0.033
H -5.333 1.062 0.262 1.2879 1.5612 1.1804 0.232
H -3.194 -0.030 0.292 0.0451 2.1626 1.2939 0.175
H -2.327 1.660 0.537 -1.4911 -1.6447 1.1133 -0.229
H -3.340 -2.584 2.489 1.1630 1.6847 1.6333 0.287
H -0.891 -0.586 0.427 0.0098 0.5874 -0.5102 -0.436
H 0.627 -1.880 0.972 0.2280 -0.2245 -0.3578 -0.194
H -0.350 -2.315 2.717 0.1341 -0.0724 0.5406 -0.232
H -1.282 -2.500 0.952 -0.9797 -0.8447 -0.3740 -0.318
H 1.560 -0.471 2.553 -2.1181 1.0717 -0.4664 0.223
H 0.057 0.072 3.556 0.7555 -0.0733 -2.0737 0.264
H 1.125 2.132 2.399 -1.5232 -1.2761 -1.3070 0.233
H -0.693 1.922 1.957 2.2677 -1.2413 -0.7790 0.157
H 1.693 2.410 0.087 -1.4491 -1.6149 0.3669 0.301
H -0.060 1.931 -0.415 1.9261 -0.9453 1.1168 0.237
H 1.287 -0.793 -2.303 -0.2802 2.0484 1.4221 0.085
H -0.121 0.417 -1.981 2.1621 -0.2282 0.6107 0.276
H 1.653 1.093 -2.378 -1.4129 -1.7322 0.9012 0.228
C 4.394 -0.624 0.542 -0.2558 0.1001 0.2208 -0.019
C 5.431 0.294 1.155 -0.2525 -0.3110 -0.3946 -0.365
O 6.693 -0.356 1.192 0.7271 -0.0930 -0.1363 -0.537
H 4.312 -1.552 1.118 -0.0209 0.1798 0.0035 0.277
H 3.414 -0.140 0.511 0.0691 -0.2163 -0.1142 -0.178
H 4.680 -0.906 -0.477 -0.0299 0.1241 -0.0571 -0.061
H 5.152 0.555 2.180 0.2095 -0.0823 -0.0982 0.319
H 5.528 1.218 0.578 -0.1687 0.1352 0.0522 0.253
H 6.935 -0.577 0.276 -0.2048 0.0979 0.5388 0.293
C -0.929 -5.633 2.678 0.0247 -0.0315 0.2350 -0.790
C -0.931 -5.801 1.172 -0.0938 0.4234 0.1992 -0.215
O -2.208 -5.467 0.648 -0.3782 -0.0535 -0.1494 -0.600
H -1.692 -6.271 3.137 0.1000 -0.0695 -0.0998 0.298
H 0.047 -5.891 3.098 -0.0476 0.0762 0.0415 0.290
H -1.170 -4.601 2.953 0.2079 0.0000 -0.0885 0.132
H -0.712 -6.839 0.903 -0.1905 0.0751 -0.1137 0.313
H -0.180 -5.157 0.705 0.1363 -0.0431 0.1125 0.239
H -2.389 -4.541 0.886 0.3488 -0.2141 -0.1803 0.290
C -5.150 6.555 -2.252 -0.1527 0.1917 -0.1104 -1.045
C -4.959 5.662 -1.044 0.2362 -0.0027 -0.2678 -0.229
O -4.650 4.340 -1.461 0.2096 -0.1064 -0.1978 -0.512
H -5.955 6.174 -2.889 0.0520 0.0458 0.1562 0.268
H -5.393 7.576 -1.947 0.0446 -0.0290 -0.0876 0.334
____________
The page goes on:
Where There Once Was Water
Brittany App is a Central Coast-based photographer and frequent collaborator with Cal Poly Magazine. Over the past two years, App has been pursuing a special personal project: capturing powerful images that document the dramatic changes across the American West in the face of the drought. Her goal is to raise awareness for the crisis and encourage Californians to conserve.
“Everyone wants to figure out ‘Where can we get more water?’, but we’re not talking about who might not already have water,” says Alaniz. “The poor are going to be negatively affected more than the wealthy if water prices increase. So it becomes an equity issue — just because you can afford to pay for it, does that mean that you deserve more water than others?”
Over the last year, Alaniz and his students have been focusing on how social shifts can help alleviate the problem, developing awareness campaigns to tackle water use the same way that environmental groups addressed recycling in the 1970s. “We really need to change the culture of California in terms of all our resources,” he says. “As a sociologist, I don’t think change comes from the top down as much as it comes from the bottom up — a cultural shift where Californians take responsibility for their water usage so that that becomes our cultural norm.”
Students are embracing their role in that shift. “It’s easy to say, ‘How’s this going to affect the water shortage?’ But I think that’s an easy way to get out of doing something,” says Brooke Matson, a fourth-year communication studies major who researched upgrading the university’s plumbing fixtures last spring in a course called Social Change. “This affects every single person in California, and it really takes every person who lives here to do something about it.”
The nature of a drought, compared to other types of disasters, makes it a difficult problem to address. “We see an earthquake and 300,000 people dead, and we think, ‘We have to do something,’” says Alaniz. “But with slow-onset disasters, they get used to the change for a time, until people can’t adjust any more.”
In the last year, however, California may have hit that critical mass. The silver lining of the drought is that the worse the crisis becomes, the more the state’s thought leaders turn their attention to a serious problem that began long before the rain stopped falling.
<<<
{
  "formula": "H16O8",
  "method": "ωB97M-V/def2-TZVPD",
  "e_homo_ev": -10.037,
  "e_above_lowest_kj_mol": 392.5,
  "gap_ha": 0.373,
  "smiles": "O.O.O.O.O.O.O.O",
  "energy_ev": -16637.9421,
  "charge": 0,
  "elements": ["O", "H", "O", "O", "H", "H", "O", "H", "H", "O", "H", "O", "H", "O", "H", "H", "H", "H", "O", "H", "H", "H", "H", "H"],
  "xyz": [[-2.060, 2.995, -0.640], [4.243, 2.032, 0.060], [1.207, -3.254, -1.150], [-0.015, -0.594, 0.731], [0.999, 2.026, -0.280], [2.532, -1.407, 0.703], [-2.622, -0.928, -0.723], [-0.762, -0.806, 0.240], [-2.882, -0.087, -1.031], [-2.778, -0.900, 1.604], [0.785, -2.806, -1.808], [3.327, 2.350, 0.119], [3.300, 3.174, -0.449], [3.458, -1.239, 0.607], [3.519, -0.324, 1.044], [-2.783, -1.484, -1.559], [0.040, 2.643, 0.654], [1.119, -4.181, -1.443], [0.081, 2.076, -0.162], [-3.449, -1.301, 1.061], [-2.812, -1.399, 2.483], [0.175, -1.309, 1.366], [-2.679, 2.525, -1.317], [-1.944, 2.200, -0.110]],
  "forces_ev_per_a": [[-3.29, -1.64, -2.13], [-0.46, 0.20, -0.10], [1.52, -2.89, 2.36], [3.19, 0.29, 1.94], [2.24, -0.67, -0.35], [-1.11, -0.39, -0.27], [-0.10, -2.90, -2.79], [-2.34, -0.85, -1.10], [-0.40, 1.85, -0.32], [0.12, -0.94, 3.34], [-1.76, 2.34, -2.72], [0.25, 1.31, -0.95], [0.17, -1.46, 1.00], [1.04, 2.45, 1.18], [-0.01, -2.00, -1.03], [0.49, 1.00, 1.83], [-0.19, -0.82, -1.20], [0.25, 0.55, 0.44], [-0.86, 1.21, 1.75], [-0.26, -0.27, -0.30], [-0.02, 1.18, -1.80], [-0.61, 0.35, -0.65], [1.41, 1.96, 1.30], [0.73, 0.16, 0.56]]
}

{
  "formula": "C61H61ClF3GeINO3S2Si3W",
  "method": "ωB97M-V/def2-TZVPD",
  "e_homo_ev": [-11.883, -12.401],
  "e_above_lowest_kj_mol": 284.4,
  "gap_ha": [0.211, 0.231],
  "spin_multiplicity": 2,
  "energy_ev": -204288.4344,
  "charge": 2,
  "elements": ["C", "C", "H", "F", "C", "H", "C", "C", "H", "H", "H", "H", "C", "H", "H", "N", "C", "C", "C", "C", "F", "O", "H", "H", "C", "C", "C", "H", "C", "C", "C", "H", "H", "H", "H", "H", "H", "C", "C", "C", "C", "H", "H", "H", "C", "C", "H", "C", "H", "H", "H", "H", "C", "H", "C", "C", "H", "S", "H", "H", "H", "C", "C", "C", "H", "C", "C", "C", "C", "H", "C", "Ge", "Si", "H", "C", "H", "Si", "H", "C", "C", "C", "C", "H", "H", "H", "I", "H", "C", "H", "C", "C", "C", "O", "H", "H", "C", "H", "C", "C", "C", "S", "H", "H", "H", "H", "H", "Cl", "H", "H", "C", "H", "C", "H", "C", "C", "H", "H", "C", "Si", "W", "C", "C", "H", "H", "F", "H", "O", "H", "H", "C", "C", "C", "C", "C", "C", "C", "H", "H"],
>>>
“Droughts are going to happen,” says NRES Professor Surfleet.
“I hope that the long-term effect of the drought would be a better understanding of how to use the water and better policies on allocating water. It’s not something that will happen quickly, but the fact that the issue is being raised is a positive outcome from this drought.”
At the United Nations University conference at Cal Poly in October, researchers from around the world will discuss the broad range of reactions to the drought. It’s an opportunity for international academics in agriculture, environmental resource management, public policy, and human rights to explore ways to address slow-moving crises of all types. It’s also an opportunity for thought leaders in those areas to bring their expertise to bear in this crisis.
There are no easy answers, but the fact that the crisis is bringing leading minds together is cause for hope. “What happens in California has a ripple effect on the U.S. and throughout the world,” says Alaniz, who is Cal Poly’s point person in coordinating the conference. “Ideally we’ll be planting seeds that will bloom in the future, so that ideas come out of this that can be translated across the world.”